== Given ==
~~~
[1]
A geometry-optimized Ta2MnZnO8 structure, computed with GGA+U.

Structure (extended XYZ):
```
48
Lattice="5.089 0.087 0.258 -0.009 5.495 -1.688 1.084 5.765 18.772" Properties=species:S:1:pos:R:3 pbc="T T T"
O 5.167 6.099 12.066
O 1.757 8.178 14.350
O 4.103 9.796 14.302
O 5.840 7.691 17.369
O 1.000 5.227 5.382
O 3.433 8.130 9.019
O 2.098 1.486 2.970
O 1.879 4.520 2.444
O 5.734 10.292 16.448
O 2.993 5.171 -0.217
O 5.294 7.556 7.138
O 3.307 8.838 16.879
O 2.425 4.654 12.674
O 3.237 6.190 17.552
O 0.413 1.074 0.906
O 0.878 3.777 10.208
O 4.864 8.767 11.742
O 3.860 6.557 4.531
O 4.326 3.138 3.200
O 2.636 7.115 11.513
O 2.770 3.208 8.337
O 5.197 4.662 7.906
O 4.621 5.965 1.835
O 1.546 5.362 15.612
O 2.895 2.500 0.476
O 1.220 2.548 5.808
O 2.691 6.055 7.323
O 0.950 6.704 9.448
O 0.332 3.643 -0.022
O 3.539 5.306 10.012
O 3.566 4.166 5.760
O 4.406 6.693 14.761
Ta 1.270 5.232 0.896
Ta 2.366 9.637 15.229
Ta 4.310 7.326 10.643
Ta 1.817 5.367 11.126
Ta 1.829 4.007 6.687
Ta 4.418 5.981 6.247
Ta 4.964 6.115 16.477
Ta 3.772 1.697 2.100
Zn 5.193 8.148 13.614
Zn 4.655 2.518 5.072
Zn 4.081 5.121 13.561
Zn 3.535 4.987 3.331
Mn 1.280 1.973 -0.531
Mn 4.369 3.745 9.338
Mn 1.818 7.603 8.011
Mn 3.822 3.610 -0.892
```

Values from the calculation:
total magnetic moment: 0.00 μB/cell
E_tot: -8.17 eV per atom
energy relative to the elements: -2.6270 eV per atom
V: 573 Å³/cell



[2]
A geometry-optimized TmSbMo2O9 structure, computed with GGA+U.

Structure (extended XYZ):
```
52
Lattice="7.109 6.499 0.000 -7.109 6.499 0.000 0.000 5.982 8.947" Properties=species:S:1:pos:R:3 pbc="T T T"
O 3.367 9.367 2.060
O -3.282 5.716 2.241
O -4.052 7.997 3.845
O -4.778 10.642 8.941
O -0.851 6.877 0.909
O -1.273 12.350 1.569
O 3.282 8.707 6.714
O -0.851 9.112 3.565
O 3.367 6.622 2.413
O 4.778 8.338 0.005
O -1.080 14.068 7.133
O -4.778 11.329 4.479
O -3.367 12.358 6.533
O -4.052 7.991 0.629
O 0.851 9.868 5.382
O 0.185 1.664 0.914
O -3.282 10.273 2.233
O 0.185 14.325 3.560
O -0.185 17.316 8.033
O 1.273 6.630 7.378
O 1.312 9.589 8.228
O 1.080 11.077 2.659
O 4.052 10.989 8.318
O -1.312 9.391 0.719
O -1.312 6.598 3.755
O 1.312 12.382 5.192
O 0.851 12.103 8.038
O -1.080 7.903 6.287
O 4.052 10.982 5.102
O -3.367 9.613 6.887
O 4.778 7.651 4.468
O 3.282 13.264 6.706
O -1.273 3.639 2.905
O 1.080 4.912 1.814
O -0.185 4.655 5.387
O 1.273 15.341 6.042
Sb -0.257 4.948 0.305
Sb 0.257 14.031 8.642
Sb 0.257 7.940 4.778
Sb -0.257 11.040 4.168
Mo -2.667 13.948 6.203
Mo 1.519 14.161 4.704
Mo -1.519 11.170 0.231
Mo 2.667 5.032 2.744
Mo 1.519 7.810 8.716
Mo -1.519 4.819 4.243
Mo -2.667 8.023 7.217
Mo 2.667 10.957 1.729
Tm 2.429 10.986 6.710
Tm 5.311 7.994 2.237
Tm -2.429 7.994 2.237
Tm -5.311 10.986 6.710
```

Values from the calculation:
total magnetic moment: 0.00 μB/cell
E_tot: -7.17 eV per atom
energy relative to the elements: -2.3782 eV per atom
space-group type: C2/c, No. 15
V: 827 Å³/cell



[3]
A geometry-optimized LiMo2P3O13 structure, computed with GGA+U.

Structure (extended XYZ):
```
38
Lattice="-6.467 0.000 0.000 -1.317 -7.503 0.000 -0.690 -2.609 11.036" Properties=species:S:1:pos:R:3 pbc="T T T"
O -3.662 -8.893 6.308
O -2.129 -2.817 8.627
O -3.012 -7.978 2.703
O -1.497 -3.320 2.312
O -2.973 -7.460 0.081
O -5.461 -2.135 8.333
O -1.778 -5.187 7.348
O -4.763 -8.348 9.622
O -2.326 -3.765 4.682
O -6.695 -4.925 3.688
O -2.342 -8.331 9.798
O -6.345 -7.296 2.409
O -6.642 -3.139 6.332
O -5.501 -2.652 10.955
O -6.147 -6.347 6.354
O -3.711 -1.765 1.414
O -2.607 -5.468 2.848
O -4.303 -6.537 4.351
O -5.867 -4.645 8.188
O -4.170 -3.576 6.685
O -1.831 -6.974 4.704
O -4.811 -1.219 4.728
O -6.976 -6.793 8.724
O -5.938 -4.850 0.423
O -6.131 -1.782 1.238
O -2.536 -5.263 10.613
Li -2.582 -6.397 8.995
Li -5.891 -3.716 2.041
P -1.619 -4.335 3.454
P -2.964 -6.826 3.675
P -3.559 -9.314 9.780
P -5.509 -3.286 7.360
P -4.915 -0.799 1.256
P -6.854 -5.778 7.582
Mo -6.256 -7.064 4.456
Mo -1.720 -1.738 1.026
Mo -2.217 -3.048 6.580
Mo -6.753 -8.374 10.010
```

Values from the calculation:
~~~

== Activity ==
Could you say how many lines of the block further up hold the word "computed", as a bare number?

== Worked solution ==
3